Elevate Your Logistics Experience with Swan Transportation

 Elevate Your Logistics Experience with Swan Transportation

 Elevate Your Logistics Experience with Swan Transportation

 Elevate Your Logistics Experience with Swan Transportation

 Elevate Your Logistics Experience with Swan Transportation

 Elevate Your Logistics Experience with Swan Transportation

 Elevate Your Logistics Experience with Swan Transportation

 Elevate Your Logistics Experience with Swan Transportation

 Elevate Your Logistics Experience with Swan Transportation

=====
ORCA calculation (the ωB97M-V functional and the def2-TZVPD basis) on a 24-piece molecular cluster, C13H62ClF2N3O29 overall.

Structure (XYZ):
```
110
C13H62ClF2N3O29 the ωB97M-V functional and the def2-TZVPD basis
C 4.8899 -2.0560 2.0810
C 5.3032 -1.7293 0.6387
C 4.3033 -0.8082 -0.0184
Cl 5.0158 -0.1715 -1.5453
C 2.9615 -1.4464 -0.2548
O 2.7937 -2.6093 -0.0405
O 1.8997 -0.6947 -0.7657
C 1.0451 -0.0737 0.2116
C 0.8581 1.3729 -0.3173
C 2.1064 2.0622 -0.7755
N 3.1740 2.1110 -0.1178
N -0.2161 -0.8127 0.1020
C -1.3959 -0.0731 0.3982
C -1.8811 0.0635 1.8150
O -2.0709 0.4064 -0.4824
C -0.3323 -1.6168 -1.1292
C -0.2221 -3.1076 -0.9576
O -0.5621 -1.1507 -2.2046
N 1.6722 -0.1593 1.5559
C 1.7754 1.0608 2.3127
O 2.8322 1.4670 2.6953
F 0.6746 1.6950 2.6390
C 1.1506 -1.1247 2.4369
O 0.8587 -0.8636 3.5730
F 1.0491 -2.3437 1.9956
H 5.7687 -2.3613 2.6324
H 4.1891 -2.8759 2.0854
H 4.4661 -1.1905 2.5908
H 6.2417 -1.1962 0.7006
H 5.4279 -2.6618 0.1031
H 4.1734 0.0327 0.6512
H 0.2640 1.2264 -1.2135
H 0.2506 1.9906 0.3413
H 2.0510 2.5763 -1.7282
H 3.8895 2.6299 -0.6156
H -1.1203 -0.1065 2.5650
H -2.6238 -0.7258 1.9321
H -2.4010 1.0008 1.9408
H 0.2601 -3.3836 -0.0340
H -1.2432 -3.4669 -0.9315
H 0.3151 -3.4845 -1.8145
O -3.8649 -1.6581 -1.8712
H -3.6304 -0.8022 -1.5023
H -3.0331 -2.0009 -2.2220
O -4.7859 -4.7255 -1.8070
H -5.6598 -4.7157 -1.4057
H -4.6309 -3.8096 -2.0597
O -6.1175 -1.6693 -3.7608
H -6.7039 -1.1960 -3.1598
H -5.3402 -1.8395 -3.2127
O 2.1419 0.5369 5.9588
H 1.7665 0.1278 5.1706
H 3.0710 0.6934 5.7575
O 5.9401 1.0941 2.0567
H 6.3073 1.8241 1.5499
H 5.0432 1.3818 2.2520
O -4.1141 2.7149 -1.2630
H -3.5561 3.4665 -1.4900
H -3.4944 2.0151 -1.0227
O 4.5216 3.5477 3.0713
H 3.6974 3.0525 2.9923
H 4.3921 4.3043 2.4858
O 4.7132 2.8625 5.9497
H 5.5414 2.3876 5.8329
H 4.4110 3.0312 5.0488
O -3.8069 2.2187 -4.3307
H -3.8575 2.2057 -3.3697
H -4.6803 2.5074 -4.6107
O -9.2103 -1.6389 -4.2023
H -9.5832 -1.8466 -5.0669
H -8.2707 -1.5057 -4.3761
O -6.1561 0.5826 -0.8095
H -5.5591 1.3136 -1.0301
H -5.5842 -0.1400 -0.5365
O 2.9730 4.7652 1.0844
H 2.6209 3.8679 1.1327
H 2.5382 5.1488 0.3151
O 8.4672 -1.0542 -2.2288
H 8.8392 -0.3310 -2.7407
H 7.5999 -0.7345 -1.9577
O -0.2626 2.9100 4.8856
H 0.2655 3.7023 4.7514
H 0.3830 2.2380 5.1387
O -0.7169 1.3780 -3.7931
H -0.5013 0.6556 -3.1880
H -1.6742 1.4709 -3.7467
O 9.0530 -3.2882 -0.0884
H 9.8064 -3.8422 -0.3091
H 8.6733 -3.0528 -0.9433
O 4.9695 -4.8735 3.3540
H 4.5546 -5.6401 2.9468
H 5.1904 -5.1688 4.2428
O -8.8508 1.5935 -3.6226
H -9.2695 1.5497 -2.7585
H -8.7906 0.6753 -3.9075
O 4.8132 7.0822 2.1240
H 4.4916 6.2764 1.7059
H 5.0246 6.8214 3.0260
O -11.8771 -0.4896 -3.0965
H -11.6396 0.3682 -2.7353
H -11.0494 -0.8458 -3.4397
O 1.0812 4.8959 -2.0038
H 1.2915 4.8469 -2.9424
H 0.5708 5.7071 -1.9196
O -10.6466 -3.8146 -2.3103
H -10.1497 -3.1011 -2.7266
H -11.4898 -3.4103 -2.0831
O -1.1641 -5.6501 -0.2078
H -1.6375 -6.3425 -0.6816
H -0.9862 -6.0357 0.6559
```

Gap between HOMO and LUMO: 10.316 eV
Net charge: 0
=====

 Elevate Your Logistics Experience with Swan Transportation

 Elevate Your Logistics Experience with Swan Transportation

The Project
Swan offers top-notch transportation and logistics solutions, specializing in efficient freight management. However, the website was outdated, both from a messaging perspective and visual perspective, that did the job of highlighting what made Swan different than other freight and supply chain logistics management companies. With a fresh new website design, we breathed new life into their brand look and messaging simultaneously to help take them to the next level.
DATE: 2023-Present
"Working with 77 Collective has been a fantastic partnership that has transformed our digital presence and branding. Their insightful and thorough assessment of our marketing needs led to the production of our world class website which will serve us well for many years to come."

- Tim McNulty

Swan Transportation I Partner

The Challenge
Swan Transportation has been working on various website designs, and messaging approaches for a new site for over 18 months. They could not crack the essence of what Swan Transportation does and how they help their customers, overlayed with the inherent way their people at Swan are what make the difference. Enter 77co!
The Approach
We worked through a few design and messaging iterations with the team to land on the fact that Swan's "Why" is what separates them from other logistics companies. Their people make the difference, having a personal investment in helping every company and their unique logistics challenges. We needed that message to come through in their video, photography, and messaging that wraps the top-notch experience of working with Swan Transportation into a great website package.
The Solution
A complete and thorough overhaul of the messaging that bridged the gap between their logistics solutions and what their team's experience brings to the table. We took that vision of a clean and simple site design that did not only focus on the mode of transportation but the essence of what Swan brings to the team through their unique management of supply chain solutions. This site features a fresh design through a crisp typography treatment, treated images, and simple animation to enhance the brand experience.

We continue working with the Swan Transportation team on marketing initiatives, customer engagement, retention tactics, and sales team support through an ongoing retainer relationship.